Input:
=====
# 1
# RbSrCl3, optimized geometry, DFT r2SCAN
# Space-group type   No. 127
# Final energy   -12.004 eV/atom
# Total magnetic moment   0.0 μB/cell
# Energy relative to the elements   -2.50 eV/atom
data_RbSrCl3
_cell_length_a 7.734
_cell_length_b 7.734
_cell_length_c 5.716
_cell_angle_alpha 90.00
_cell_angle_beta 90.00
_cell_angle_gamma 90.00
_space_group_name_H-M_alt 'P 1'
_space_group_IT_number 1
loop_
_space_group_symop_operation_xyz
'x,y,z'
loop_
_atom_site_label
_atom_site_type_symbol
_atom_site_fract_x
_atom_site_fract_y
_atom_site_fract_z
_atom_site_occupancy
Cl1 Cl 0.827 0.673 0.500 1
Cl2 Cl 0.327 0.827 0.500 1
Cl3 Cl 0.173 0.327 0.500 1
Cl4 Cl 0.500 0.500 0.000 1
Cl5 Cl 0.000 0.000 0.000 1
Cl6 Cl 0.673 0.173 0.500 1
Rb1 Rb 0.500 0.000 0.000 1
Rb2 Rb 0.000 0.500 0.000 1
Sr1 Sr 0.000 0.000 0.500 1
Sr2 Sr 0.500 0.500 0.500 1


# 2
# GdGaGe2O7, optimized geometry, DFT r2SCAN
# Space-group type   No. 14
# Final energy   -13.677 eV/atom
# Total magnetic moment   28.0 μB/cell
# Energy relative to the elements   -2.37 eV/atom
data_GdGaGe2O7
_cell_length_a 6.580
_cell_length_b 7.183
_cell_length_c 12.798
_cell_angle_alpha 62.31
_cell_angle_beta 90.00
_cell_angle_gamma 90.00
_space_group_name_H-M_alt 'P 1'
_space_group_IT_number 1
loop_
_space_group_symop_operation_xyz
'x,y,z'
loop_
_atom_site_label
_atom_site_type_symbol
_atom_site_fract_x
_atom_site_fract_y
_atom_site_fract_z
_atom_site_occupancy
O1 O 0.812 0.150 0.813 1
O2 O 0.339 0.989 0.424 1
O3 O 0.188 0.850 0.187 1
O4 O 0.378 0.428 0.310 1
O5 O 0.839 0.011 0.076 1
O6 O 0.622 0.572 0.690 1
O7 O 0.552 0.789 0.874 1
O8 O 0.448 0.211 0.126 1
O9 O 0.612 0.784 0.281 1
O10 O 0.122 0.428 0.810 1
O11 O 0.172 0.589 0.980 1
O12 O 0.388 0.216 0.719 1
O13 O 0.888 0.784 0.781 1
O14 O 0.312 0.850 0.687 1
O15 O 0.328 0.589 0.480 1
O16 O 0.501 0.256 0.920 1
O17 O 0.001 0.744 0.580 1
O18 O 0.828 0.411 0.020 1
O19 O 0.499 0.744 0.080 1
O20 O 0.661 0.011 0.576 1
O21 O 0.999 0.256 0.420 1
O22 O 0.112 0.216 0.219 1
O23 O 0.672 0.411 0.520 1
O24 O 0.948 0.789 0.374 1
O25 O 0.052 0.211 0.626 1
O26 O 0.878 0.572 0.190 1
O27 O 0.688 0.150 0.313 1
O28 O 0.161 0.989 0.924 1
Ge1 Ge 0.088 0.701 0.723 1
Ge2 Ge 0.412 0.701 0.223 1
Ge3 Ge 0.912 0.299 0.277 1
Ge4 Ge 0.158 0.784 0.458 1
Ge5 Ge 0.658 0.216 0.042 1
Ge6 Ge 0.342 0.784 0.958 1
Ge7 Ge 0.842 0.216 0.542 1
Ge8 Ge 0.588 0.299 0.777 1
Ga1 Ga 0.400 0.211 0.269 1
Ga2 Ga 0.600 0.789 0.731 1
Ga3 Ga 0.900 0.789 0.231 1
Ga4 Ga 0.100 0.211 0.769 1
Gd1 Gd 0.646 0.761 0.474 1
Gd2 Gd 0.354 0.239 0.526 1
Gd3 Gd 0.146 0.239 0.026 1
Gd4 Gd 0.854 0.761 0.974 1


# 3
# BiF3, optimized geometry, DFT r2SCAN
# Space-group type   No. 62
# Final energy   -19.592 eV/atom
# Total magnetic moment   0.0 μB/cell
# Energy relative to the elements   -2.62 eV/atom
data_BiF3
_cell_length_a 4.675
_cell_length_b 6.548
_cell_length_c 7.068
_cell_angle_alpha 90.00
_cell_angle_beta 90.00
_cell_angle_gamma 90.00
_space_group_name_H-M_alt 'P 1'
_space_group_IT_number 1
loop_
_space_group_symop_operation_xyz
'x,y,z'
loop_
_atom_site_label
_atom_site_type_symbol
_atom_site_fract_x
_atom_site_fract_y
_atom_site_fract_z
_atom_site_occupancy
F1 F 0.369 0.166 0.061 1
F2 F 0.392 0.470 0.750 1
F3 F 0.608 0.530 0.250 1
F4 F 0.131 0.666 0.061 1
F5 F 0.892 0.030 0.250 1
F6 F 0.108 0.970 0.750 1
F7 F 0.869 0.334 0.939 1
F8 F 0.869 0.334 0.561 1
F9 F 0.131 0.666 0.439 1
F10 F 0.631 0.834 0.939 1
F11 F 0.369 0.166 0.439 1
F12 F 0.631 0.834 0.561 1
Bi1 Bi 0.456 0.865 0.250 1
Bi2 Bi 0.956 0.635 0.750 1
Bi3 Bi 0.544 0.135 0.750 1
Bi4 Bi 0.044 0.365 0.250 1


# 4
# TbCdAg2, optimized geometry, DFT r2SCAN
# Space-group type   No. 225
# Final energy   -23.809 eV/atom
# Total magnetic moment   0.0 μB/cell
# Energy relative to the elements   -0.30 eV/atom
data_TbCdAg2
_cell_length_a 4.912
_cell_length_b 4.912
_cell_length_c 4.912
_cell_angle_alpha 60.00
_cell_angle_beta 60.00
_cell_angle_gamma 60.00
_space_group_name_H-M_alt 'P 1'
_space_group_IT_number 1
loop_
_space_group_symop_operation_xyz
'x,y,z'
=====

Exercise:
Copy all of the listing further up without additions.

Outcome:
# 1
# RbSrCl3, optimized geometry, DFT r2SCAN
# Space-group type   No. 127
# Final energy   -12.004 eV/atom
# Total magnetic moment   0.0 μB/cell
# Energy relative to the elements   -2.50 eV/atom
data_RbSrCl3
_cell_length_a 7.734
_cell_length_b 7.734
_cell_length_c 5.716
_cell_angle_alpha 90.00
_cell_angle_beta 90.00
_cell_angle_gamma 90.00
_space_group_name_H-M_alt 'P 1'
_space_group_IT_number 1
loop_
_space_group_symop_operation_xyz
'x,y,z'
loop_
_atom_site_label
_atom_site_type_symbol
_atom_site_fract_x
_atom_site_fract_y
_atom_site_fract_z
_atom_site_occupancy
Cl1 Cl 0.827 0.673 0.500 1
Cl2 Cl 0.327 0.827 0.500 1
Cl3 Cl 0.173 0.327 0.500 1
Cl4 Cl 0.500 0.500 0.000 1
Cl5 Cl 0.000 0.000 0.000 1
Cl6 Cl 0.673 0.173 0.500 1
Rb1 Rb 0.500 0.000 0.000 1
Rb2 Rb 0.000 0.500 0.000 1
Sr1 Sr 0.000 0.000 0.500 1
Sr2 Sr 0.500 0.500 0.500 1


# 2
# GdGaGe2O7, optimized geometry, DFT r2SCAN
# Space-group type   No. 14
# Final energy   -13.677 eV/atom
# Total magnetic moment   28.0 μB/cell
# Energy relative to the elements   -2.37 eV/atom
data_GdGaGe2O7
_cell_length_a 6.580
_cell_length_b 7.183
_cell_length_c 12.798
_cell_angle_alpha 62.31
_cell_angle_beta 90.00
_cell_angle_gamma 90.00
_space_group_name_H-M_alt 'P 1'
_space_group_IT_number 1
loop_
_space_group_symop_operation_xyz
'x,y,z'
loop_
_atom_site_label
_atom_site_type_symbol
_atom_site_fract_x
_atom_site_fract_y
_atom_site_fract_z
_atom_site_occupancy
O1 O 0.812 0.150 0.813 1
O2 O 0.339 0.989 0.424 1
O3 O 0.188 0.850 0.187 1
O4 O 0.378 0.428 0.310 1
O5 O 0.839 0.011 0.076 1
O6 O 0.622 0.572 0.690 1
O7 O 0.552 0.789 0.874 1
O8 O 0.448 0.211 0.126 1
O9 O 0.612 0.784 0.281 1
O10 O 0.122 0.428 0.810 1
O11 O 0.172 0.589 0.980 1
O12 O 0.388 0.216 0.719 1
O13 O 0.888 0.784 0.781 1
O14 O 0.312 0.850 0.687 1
O15 O 0.328 0.589 0.480 1
O16 O 0.501 0.256 0.920 1
O17 O 0.001 0.744 0.580 1
O18 O 0.828 0.411 0.020 1
O19 O 0.499 0.744 0.080 1
O20 O 0.661 0.011 0.576 1
O21 O 0.999 0.256 0.420 1
O22 O 0.112 0.216 0.219 1
O23 O 0.672 0.411 0.520 1
O24 O 0.948 0.789 0.374 1
O25 O 0.052 0.211 0.626 1
O26 O 0.878 0.572 0.190 1
O27 O 0.688 0.150 0.313 1
O28 O 0.161 0.989 0.924 1
Ge1 Ge 0.088 0.701 0.723 1
Ge2 Ge 0.412 0.701 0.223 1
Ge3 Ge 0.912 0.299 0.277 1
Ge4 Ge 0.158 0.784 0.458 1
Ge5 Ge 0.658 0.216 0.042 1
Ge6 Ge 0.342 0.784 0.958 1
Ge7 Ge 0.842 0.216 0.542 1
Ge8 Ge 0.588 0.299 0.777 1
Ga1 Ga 0.400 0.211 0.269 1
Ga2 Ga 0.600 0.789 0.731 1
Ga3 Ga 0.900 0.789 0.231 1
Ga4 Ga 0.100 0.211 0.769 1
Gd1 Gd 0.646 0.761 0.474 1
Gd2 Gd 0.354 0.239 0.526 1
Gd3 Gd 0.146 0.239 0.026 1
Gd4 Gd 0.854 0.761 0.974 1


# 3
# BiF3, optimized geometry, DFT r2SCAN
# Space-group type   No. 62
# Final energy   -19.592 eV/atom
# Total magnetic moment   0.0 μB/cell
# Energy relative to the elements   -2.62 eV/atom
data_BiF3
_cell_length_a 4.675
_cell_length_b 6.548
_cell_length_c 7.068
_cell_angle_alpha 90.00
_cell_angle_beta 90.00
_cell_angle_gamma 90.00
_space_group_name_H-M_alt 'P 1'
_space_group_IT_number 1
loop_
_space_group_symop_operation_xyz
'x,y,z'
loop_
_atom_site_label
_atom_site_type_symbol
_atom_site_fract_x
_atom_site_fract_y
_atom_site_fract_z
_atom_site_occupancy
F1 F 0.369 0.166 0.061 1
F2 F 0.392 0.470 0.750 1
F3 F 0.608 0.530 0.250 1
F4 F 0.131 0.666 0.061 1
F5 F 0.892 0.030 0.250 1
F6 F 0.108 0.970 0.750 1
F7 F 0.869 0.334 0.939 1
F8 F 0.869 0.334 0.561 1
F9 F 0.131 0.666 0.439 1
F10 F 0.631 0.834 0.939 1
F11 F 0.369 0.166 0.439 1
F12 F 0.631 0.834 0.561 1
Bi1 Bi 0.456 0.865 0.250 1
Bi2 Bi 0.956 0.635 0.750 1
Bi3 Bi 0.544 0.135 0.750 1
Bi4 Bi 0.044 0.365 0.250 1


# 4
# TbCdAg2, optimized geometry, DFT r2SCAN
# Space-group type   No. 225
# Final energy   -23.809 eV/atom
# Total magnetic moment   0.0 μB/cell
# Energy relative to the elements   -0.30 eV/atom
data_TbCdAg2
_cell_length_a 4.912
_cell_length_b 4.912
_cell_length_c 4.912
_cell_angle_alpha 60.00
_cell_angle_beta 60.00
_cell_angle_gamma 60.00
_space_group_name_H-M_alt 'P 1'
_space_group_IT_number 1
loop_
_space_group_symop_operation_xyz
'x,y,z'